They Film People Don't They, Thoughts

On reflection

She Drives lives! Making this film has been a really valuable, rewarding experience and I’m really proud of how my group worked together to achieve what I think is a pretty high quality finished product. It’s the first short film I’ve made during my degree that I would be happy putting in a portfolio.

I’m especially pleased with how we navigated the creative process together. Collaboration is obviously an all-too-common sticking point for a lot of people, but for me it’s actually the best part of the filmmaking process because, most of the time, working to each other’s strengths results in a better product. I don’t have a digital SLR camera and couldn’t have achieved the kind of cinematography that Anna, Izzi and Zitni were able to achieve if I was on my own, so I was very happy they took on those roles… and She Drives looks incredible because of it. Likewise, I took on the challenge of bringing those shots to life through sound, and though I’m not 100% happy with the quality of the interview audio I am happy with how lived-in the film feels now that there’s a bed of atmospheric car noise deep in the mix.

(Note for the future, though: when shooting, SHUT UP ON SET. You never know what audio you’re going to end up needing, and a lot of our B-roll had people (especially me) talking and chatting all over it. I was able to piece together enough atmosphere from what we had plus some stock sounds, but it would have been much easier if I could have used the sound from our B-roll even just as a starting point.)

We did, as is always the case, face some challenges in getting She Drives finished. The most significant challenge was that we lost a lot of time waiting to set up an interview with a Shebah driver that ended up not happening. This was a major frustration because the Shebah driver was originally a core part of the idea we pitched, so without her we had to reconfigure our film into something different. It all ended up being fine, of course, and I’m happy with the film as it stands, but Izzi spent a lot of time going back-and-forth with Shebah when, in hindsight, that time was wasted and could have been better spent on something else. But even without saying anything, I think the group naturally understood that it’s better to move forward with the material you have (even if it’s not exactly what you first imagined) than to hold up production for an indeterminate amount of time while you try to get everything exactly as it was in your proposal. So we quickly moved on without a Shebah driver, and changed our film around to accommodate the loss. Through the whole production process, Izzi and Alice (who found our taxi driver, Elizabeth, and organised an interview with her) were both really great at keeping us all informed, and any lost time was really down to people outside of our group.

Other than losing our Shebah driver, we really didn’t have too many problems — or, I guess, any problems we did face were easily overcome, because we were quite harmonious as a group. We easily slipped into our roles, kept each other accountable, had no trouble asking each other to do things, and we all volunteered to help each other out when needed. I have to admit I was worried that a group of five might lead to some group-dynamic issues, but there were none at all.

Often, at least for me, these reflection exercises end up being a long list of problems large and small, with notes and ideas on how to avoid or deal with them in the future. It feels so refreshing that in my final studio, my reflection is full of nothing but positivity.


Assessments, They Film People Don't They

She Drives

Elizabeth became a taxi driver in the 1980s, Marz started driving for Uber in the 2010s. Though separated by a generation, these two women share more than just a job.

Synposis: When Elizabeth starting driving her taxi in 1982, she was told it wasn’t the job for a woman. Over the next three decades she proved her critics wrong, built a fleet of female drivers and changed the industry from the inside. Marz began driving for Uber to make some extra cash. Though she expected it to be a challenge, she quickly discovered that there is more to being a driver than just driving.

Produced, Directed & Edited By: Alice Fairweather, Anna Miers, Bradley Dixon, Izzi Hally & Zitni Putriadi
Cinematography: Anna Miers, Izzi Hally & Zitni Putriadi
Supervising Producer: Rohan Spong

They Film People Don't They, Thoughts

Consultation and paper edit

Today’s consultation session with Rohan was extremely helpful. We’re slightly behind the rest of the class in terms of our timeline, because we had to wait until Marz, our Uber driver, was available to shoot her interview and then Anna had issues working on the rough cut. So instead of giving us pointers about how to put the finishing touches on our film, Rohan led us through a paper edit of the material we’ve shot, which is really step 1 of the editing process. This is what we ended up with:

And this is what it became after Alice cleaned it up (thx Alice!):


Laying it out like this, there are some clear thematic convergences between the two interviews, and I think intercutting between them will make for a dynamic and (hopefully) interesting film considering our interviewees have pretty strong and likeable personalities. It’s unfortunate that we don’t have any real narrative conflict or a clear beginning, middle and end, but we’ve fashioned something of a three-act structure by separating the topics we got Elizabeth and Marz to speak about.

We’re using this paper edit as a way to get our structure into shape first, before we mess around with anything like integrating B-roll, colour grading and other post-production processes.

They Film People Don't They, Thoughts

Wild Wild Country and framing talking heads

I’ve been hearing a lot about the new Netflix documentary series Wild Wild Country, so tonight I decided to start watching it. It’s about a pretty remarkable story that happened in the 1980s, when an Indian guru (and/or cult leader) and his followers attempted to take over a tiny Oregon town to create a commune, but within a couple of years had been charged with committing a mass poisoning attack and an attempted assassination.

I’ve only watched the first hour-long episode, but I was so struck by the cinematography of the talking-heads sequences that I just had to post about them. Just look at these shots:

The subjects are all situated in their own homes, roughly centred in the frame, and at quite a distance from the camera. They’re practically engulfed by the photographs and books on the walls behind them, and you really get a sense of who these people are just from the environment they’re captured in.

I think it’s also notable that each person is framed with their head and body inside a doorway or window. I haven’t watched the whole series yet so I don’t quite know where it’s going, but I’d be surprised if this wasn’t subtextually significant. At the very least it makes for a visually striking shot.

The main character (of the first episode, at least) is Sheela, the guru/cult leader’s personal secretary and one of the people charged and found guilty of attempted murder for the poisoning attack. This is how her interview’s master shot is framed:

-- begin --
Below is crystalline Na7Zr3ZnSi3P3O24 at its relaxed geometry, with properties calculated at the PBE level.

Output
* symmetry: P1 (1)

a = 9.173 Å, b = 9.160 Å, c = 22.856 Å
α = 90.05°, β = 90.15°, γ = 120.04°
Element x y z (fractional)
O: 0.302 0.464 0.470
O: 0.506 0.875 0.360
Si: 0.665 0.041 0.086
O: 0.490 0.376 0.143
O: 0.128 0.487 0.859
Si: 0.961 0.335 0.586
O: 0.887 0.519 0.141
O: 0.124 0.630 0.359
Na: 0.969 0.290 0.415
P: 0.707 0.000 0.749
Zn: 0.999 0.999 0.353
O: 0.817 0.789 0.305
Na: 0.639 0.625 0.748
Na: 0.637 0.011 0.248
Si: 0.997 0.702 0.749
Na: 0.029 0.691 0.584
O: 0.843 0.543 0.032
Na: 0.327 0.657 0.664
O: 0.853 0.354 0.922
Si: 0.332 0.368 0.415
Zn: 0.678 0.344 0.680
Na: 0.371 0.008 0.746
O: 0.532 0.837 0.756
Na: 0.710 0.679 0.414
O: 0.504 0.359 0.423
Na: 0.334 0.304 0.918
Na: 0.991 0.998 0.997
Si: 0.038 0.669 0.417
O: 0.145 0.506 0.578
O: 0.538 0.842 0.474
O: 0.347 0.497 0.078
O: 0.854 0.497 0.423
Zr: 0.673 0.332 0.980
O: 0.370 0.492 0.358
O: 0.824 0.028 0.802
O: 0.358 0.876 0.862
O: 0.792 0.818 0.196
Zr: 0.989 0.990 0.854
Zr: 0.000 0.004 0.149
Si: 0.035 0.370 0.917
O: 0.530 0.692 0.254
Na: 0.321 0.031 0.414
O: 0.704 0.165 0.030
Na: 0.337 0.668 0.166
Zr: 0.327 0.663 0.817
Zn: 0.659 0.328 0.177
O: 0.832 0.016 0.091
O: 0.181 0.972 0.196
O: 0.159 0.698 0.474
O: 0.638 0.144 0.422
P: 0.708 0.705 0.251
O: 0.033 0.826 0.692
O: 0.829 0.804 0.590
P: 0.294 0.001 0.252
Na: 0.311 0.975 0.084
O: 0.027 0.209 0.196
O: 0.632 0.490 0.923
Si: 0.630 0.961 0.417
O: 0.209 0.183 0.806
Na: 0.029 0.333 0.082
Na: 0.374 0.363 0.248
Zr: 0.339 0.665 0.016
O: 0.187 0.163 0.091
P: 0.998 0.294 0.252
Si: 0.629 0.666 0.916
P: 0.377 0.043 0.585
O: 0.194 0.016 0.590
O: 0.471 0.157 0.246
O: 0.164 0.472 0.254
P: 0.958 0.624 0.085
O: 0.307 0.852 0.972
O: 0.175 0.207 0.698
O: 0.844 0.318 0.244
O: 0.138 0.650 0.076
O: 0.790 0.970 0.695
Zr: 0.669 0.331 0.481
O: 0.483 0.121 0.640
O: 0.156 0.460 0.974
O: 0.688 0.528 0.245
O: 0.357 0.864 0.578
O: 0.036 0.193 0.910
P: 0.664 0.625 0.586
P: 0.294 0.292 0.751
O: 0.210 0.027 0.305
Zr: 0.008 0.006 0.647
Na: 0.990 0.628 0.249
Na: 0.662 0.693 0.084
O: 0.490 0.139 0.922
O: 0.813 0.834 0.912
O: 0.971 0.184 0.305
Na: 0.005 0.009 0.493
O: 0.179 0.985 0.910
Zr: 0.329 0.657 0.517
O: 0.457 0.149 0.530
O: 0.969 0.159 0.590
Na: 0.987 0.367 0.746
O: 0.467 0.308 0.745
O: 0.685 0.155 0.745
P: 0.333 0.960 0.917
Si: 0.377 0.334 0.085
O: 0.172 0.693 0.755
O: 0.842 0.301 0.527
O: 0.695 0.545 0.531
O: 0.021 0.835 0.412
O: 0.540 0.694 0.974
O: 0.812 0.979 0.412
Na: 0.666 0.333 0.332
O: 0.310 0.471 0.755
O: 0.630 0.116 0.145
Na: 0.680 0.341 0.833
Zr: 0.334 0.667 0.318
O: 0.509 0.637 0.859
O: 0.165 0.186 0.411
O: 0.497 0.853 0.078
O: 0.516 0.658 0.578
O: 0.974 0.804 0.803
O: 0.830 0.519 0.747
O: 0.307 0.836 0.254
Na: 0.667 0.972 0.582
O: 0.637 0.521 0.641
O: 0.458 0.298 0.027
O: 0.883 0.370 0.643
O: 0.977 0.804 0.091



Below is crystalline Na7Zr2Zn2SiP5O24 at its relaxed geometry, with properties calculated at the PBE level.

Output
-- stop --
End of the records of crystals:

Firstly, she’s much closer to the camera than any of the other subjects, and it’s a much more intimate shot. Where the other talking heads are engulfed by their environment, Sheela completely stands out. Also, because the camera is so much closer to her the low angle is strongly accentuated; she completely dominates the frame and almost talks “over” the camera to the off-screen interviewer. It puts her in quite a powerful position, which contrasts strongly with her kindly old-lady demeanour and might hint towards her unreliability as a subject.

I found all of these choices quite interesting and informative. The project we’re working on at the moment, She Drives, is obviously much simpler in comparison, but it’s good to know that there’s such a wide spectrum of possibilities for future reference.

They Film People Don't They, Thoughts

High School and the fallacy of direct cinema

This week I watched High School, Frederick Wiseman’s 1968 documentary about a suburban high school in Pennsylvania. I’ve seen some of Wiseman’s more recent work whenever it screened at the Melbourne International Film Festival, but it was pretty fascinating to go back 50 years to one his very first films and realise how little his filmmaking philosophy has changed since. Wiseman’s signature is to create long-form, almost longitudinal studies of social institutions (some of his films include Hospital, National Gallery, Juvenile Court, and Public Housing, and those titles alone give you a sense of the kinds of subjects he’s interested in). He’s a pioneer of “direct cinema”, in which the filmmaker himself (or herself) is not present in the film, does not instigate actions to be captured on camera, does not narrate what’s happening, etc. A direct cinema filmmaker is supposed to be a fly on the wall, “capturing reality as it happens” — reality that would have occurred even if the filmmaker wasn’t there to capture it.

Previously I would have watched a movie like High School and assumed that Wiseman was genuinely acting as a fly on the wall, capturing the minutia of a suburban high school in the late 1960s and presenting that material in a way that accurately reflected what was happening at the school. But now, thanks to everything we’ve discussed in this studio, I watched it with my eye much more attuned to the ethical questions that Wiseman would have contended with while he was shooting it, and especially while he was editing it. I now know that “what was happening at the school” can mean extremely different things depending on your point of view, and how Wiseman chose to present it.

The late 1960s was one of the most turbulent periods of the 20th century, with the U.S. engaged in both the Cold War and the Vietnam War, the civil rights struggle spilling over into violence (the filming period of High School includes the day Martin Luther King, Jr. was assassinated), and the young baby boomers actively rebelling against the old-fashionedness and repression of the previous generation. This was a year after the Summer of Love and a year before Woodstock. Generational tensions, racial oppression, sexual freedom, the devastation of war — all of these subjects are covered in High School, but they are covered with such subtlety that you could easily miss them all. The film is masterfully constructed in the edit: the sequence of shots, how scenes play off one another, how and in which order topics are introduced, all of these things are manipulated to make this a film about much, much more than just a high school. In Werner Herzog’s parlance, Wiseman isn’t a fly on the wall at all, but the hornet that stings.

That Wiseman was able to achieve all this when the form was still in its infancy is really unbelievable, and I don’t think he’s really been given his due. Obviously he’s adored by film nerds and cinephiles, but if there were any justice in the world he’d be as well known as my old mates Werner and Errol.

They Film People Don't They, Thoughts

Shooting our second interview

Yesterday we shot our second and final interview for She Drives, and let me tell you, it’s much more fun to travel to Brunswick in the afternoon than it is to get up at 4am to go to Ballarat!

(Records of crystals, kept here for reference)
+++
Computed, not measured: an optimized crystal structure of Dy6Se11 at the GGA-PBE level of DFT.

Cell and atoms, written as POSCAR:
```
Dy6Se11
1.0
11.5804 0.0000 0.0000
0.3518 11.6200 0.0000
0.0399 0.0194 12.0753
Dy Se
24 44
Cartesian
0.0000 0.0000 0.0000 Dy
11.5939 0.1546 4.0252 Dy
1.2675 4.0121 10.0038 Dy
1.3901 4.1985 2.0243 Dy
1.4807 4.2687 6.0924 Dy
3.0351 8.6845 4.0043 Dy
3.3098 8.9002 8.0601 Dy
3.3312 9.0289 0.0456 Dy
4.1436 1.2435 5.9818 Dy
4.1302 1.2894 2.0443 Dy
4.2720 1.4950 10.0420 Dy
5.9088 5.8634 8.0793 Dy
6.0366 5.8910 4.0159 Dy
6.0437 5.9195 0.0048 Dy
7.2646 9.9666 5.9794 Dy
7.2869 9.9720 2.0489 Dy
7.5101 10.1209 10.0447 Dy
8.8202 3.0138 8.0427 Dy
8.8469 3.0077 12.0301 Dy
9.0011 3.2041 4.0243 Dy
10.1135 7.0564 10.0555 Dy
10.1831 7.2333 6.0687 Dy
10.2637 7.2105 1.9576 Dy
11.9403 11.6261 8.0184 Dy
0.3344 8.5572 8.2263 Se
0.5094 8.3944 11.8811 Se
1.6083 7.2350 6.3088 Se
1.7828 7.0726 1.5435 Se
2.3448 10.8135 6.0261 Se
2.3339 10.8452 2.0238 Se
2.1453 2.1713 0.0158 Se
2.1926 2.1557 8.0193 Se
2.1900 2.1950 4.0317 Se
2.4826 10.9030 10.0571 Se
2.8927 5.9314 8.4953 Se
3.0618 5.7153 3.9806 Se
4.0931 4.6536 10.3142 Se
4.4673 4.2979 1.9537 Se
4.5455 4.2031 5.9808 Se
5.1654 10.7321 4.0109 Se
5.1649 7.8736 6.0436 Se
5.1804 7.8904 1.9874 Se
5.2212 8.0076 10.1190 Se
5.4164 10.9709 8.0222 Se
5.4291 11.0232 0.0288 Se
5.7926 2.9034 0.2244 Se
5.8358 2.8682 7.7625 Se
6.1819 2.2132 4.0073 Se
7.2211 1.4751 10.0171 Se
7.9676 5.0153 10.0494 Se
7.8933 0.4392 3.9941 Se
8.1330 7.9916 8.0525 Se
8.0429 5.0501 6.0332 Se
8.1551 7.9951 4.0080 Se
8.0720 5.0379 1.9968 Se
8.1829 8.0023 0.0011 Se
8.5452 0.0628 7.6988 Se
8.5534 0.0374 0.2868 Se
10.1892 10.3599 5.9488 Se
10.2432 10.3053 2.0620 Se
10.5584 9.9631 10.0702 Se
10.7671 2.0114 10.0392 Se
10.7853 2.1596 2.0108 Se
10.8262 2.1881 6.0255 Se
10.9634 5.0801 8.0654 Se
11.0476 5.0725 12.0144 Se
11.0825 5.2232 4.0297 Se
11.6456 8.8285 3.9830 Se
```

Results
**Symmetry**: P1 (1)
**DFT formation energy**: -1.973 eV per atom
**Energy**: -377.75 eV/cell

Computed, not measured: an optimized crystal structure of SrDy2Se4 at the GGA-PBE level of DFT.

Cell and atoms, written as POSCAR:
```
SrDy2Se4
1.0
12.5834 0.0000 0.0000
0.0000 4.1564 0.0000
0.0000 0.0000 15.0268
Sr Dy Se
4 8 16
Cartesian
3.0360 1.0391 2.4699 Sr
3.2557 3.1173 9.9833 Sr
9.3277 1.0391 5.0435 Sr
9.5475 3.1173 12.5569 Sr
0.8377 1.0391 5.8668 Dy
1.0076 1.0391 13.5372 Dy
5.2841 3.1173 6.0238 Dy
5.4540 3.1173 13.3802 Dy
7.1294 1.0391 1.6466 Dy
7.2993 1.0391 9.0030 Dy
11.5758 3.1173 1.4896 Dy
11.7457 3.1173 9.1600 Dy
0.3032 3.1173 11.7763 Se
1.1095 1.0391 8.6996 Se
1.6630 3.1173 0.4147 Se
2.6096 3.1173 4.9032 Se
3.6821 1.0391 12.4166 Se
4.6287 1.0391 7.9281 Se
5.1822 3.1173 1.1862 Se
5.9885 1.0391 4.2629 Se
6.5949 3.1173 10.7639 Se
7.4012 1.0391 13.8406 Se
7.9547 3.1173 7.0987 Se
8.9013 3.1173 2.6102 Se
9.9738 1.0391 10.1236 Se
10.9204 1.0391 14.6121 Se
11.4739 3.1173 6.3272 Se
12.2803 1.0391 3.2505 Se
```

Results
**Symmetry**: Pnma (62)
+++
(Back to the piece)

After the rough cut session we decided to go ahead and scrap the Shebah driver altogether, because they were an absolute nightmare to deal with. Izzi would get someone to agree to an interview, only to have them drop out a few days or a week later, so she had to start all over again with someone else, who would also then drop out… it was pretty frustrating, but I think we’re happy enough with the material we already have that we can make it work without talking to a Shebah driver.

So our interview with Marz, a former Uber driver, suddenly became much more important. I’m friends with Marz and I know she’s an extremely articulate speaker and comfortable on camera, so I knew that the interview would be pleasant, but I had no idea what she would say about her experiences as a female driver. Thankfully she gave us plenty of great stuff, personal anecdotes, stories from other drivers she knows, historical context, all kinds of things. I think it’ll fit together nicely with what we got with Elizabeth, our taxi driver, but it’s fair to say now that our original pitch has been slightly modified for the finished product, since neither Marz nor Elizabeth had much personal experience with harassment. But the general theme and topic of our film will stay the same, the challenge now will be to craft what our subjects said into snippets that build on (or bounce off) one another.

We’re a little behind the eight ball since Marz only had a very small window in which she could give us her time, so this interview was conducted a little later than any of us would have liked, but this is the nature of the beast when you’re asking people for favours. We have a little over a week until the finished film is due, so we’re in the home stretch now.


They Film People Don't They, Thoughts

Rough cut presentation

The article is interrupted by data records:
-- begin --
A plane-wave DFT calculation with PBE+U was carried out for crystalline V2Fe3P6WO24 at its relaxed geometry.

Summary:
Its formation energy is -2.4070 eV per atom. The theoretical density comes out at 3.72 g/cm³. As for the space group: R3.

Cell lengths 8.6214, 8.6214, 8.6214 Å; angles 60.39, 60.39, 60.39 degrees
Fractional positions:
V 0.0023 0.0023 0.0023
V 0.5005 0.5005 0.5005
Fe 0.3560 0.3560 0.3560
Fe 0.1455 0.1455 0.1455
Fe 0.6440 0.6440 0.6440
P 0.4514 0.7476 0.0458
P 0.7476 0.0458 0.4514
P 0.0458 0.4514 0.7476
P 0.9555 0.5374 0.2559
P 0.2559 0.9555 0.5374
P 0.5374 0.2559 0.9555
W 0.8569 0.8569 0.8569
O 0.6821 0.8893 0.4993
O 0.8893 0.4993 0.6821
O 0.4993 0.6821 0.8893
O 0.2613 0.9118 0.0586
O 0.6117 0.8192 0.0009
O 0.4460 0.5886 0.2394
O 0.9118 0.0586 0.2613
O 0.5886 0.2394 0.4460
O 0.9952 0.3877 0.1845
O 0.2394 0.4460 0.5886
O 0.9348 0.7392 0.0898
O 0.1845 0.9952 0.3877
O 0.8192 0.0009 0.6117
O 0.0586 0.2613 0.9118
O 0.7592 0.5601 0.4112
O 0.0009 0.6117 0.8192
O 0.4112 0.7592 0.5601
O 0.0898 0.9348 0.7392
O 0.5601 0.4112 0.7592
O 0.3877 0.1845 0.9952
O 0.7392 0.0898 0.9348
O 0.5077 0.3093 0.1144
O 0.1144 0.5077 0.3093
O 0.3093 0.1144 0.5077
-- stop --

Today we presented our rough cut of She Drives to the class, and overall I’m pretty happy with how it went. Here are the notes I (shoddily) jotted down from our feedback session:

  • topic is topical — female centric stories in the workplace, tick
  • shot beautifully — shows the world she lives in
  • include more of her active day to day problems, how she deals with things?
  • more anecdotal specific stories of how things have changed in the last 30 years?
  • needs a hook — part where she says a taxi driver is a psychologist, doctor etc. should go at the front, then move into chronological beginning of the story

This is the first studio of my entire degree where the rough cut feedback we received is detailed, specific and extremely useful. Identifying structural issues (and proposing fixes for them) is so valuable, and I’m really glad that we were able to get the feedback we did because the final result will be much better for it. Once we have our second interview we’ll hopefully be able to slot everything together pretty quickly based on the above.

We still have a lot of work to do from here, because Shebah aren’t really cooperating as we hoped they would. We’re currently discussing whether we should just scrap that part of the story and just go with the taxi and Uber drivers, which will necessitate a big shift in the central question of our film, but I think in the interest of delivering a cohesive final product it will save us a lot of time and effort not to have to worry about wrangling a Shebah driver.

They Film People Don't They, Thoughts

First interview and the importance of pre-interviewing

4am starts are not my idea of a good time, but on Tuesday we dragged ourselves out of bed at an ungodly hour to travel to Ballarat and conduct one of our primary interviews for She Drives, with a veteran taxi driver named Elizabeth. In our pitch for this project we had the idea to code each of our interviews visually through time of day, and in order to get some morning light for our taxi driver segment we had to start travelling as early as possible. We missed the actual sunrise itself because by the time the sun rose it was completely overcast, but after about an hour the clouds dissipated and we got some really beautiful landscape shots from the window of our V/Line train:

This is exactly what we were hoping for, and it felt great to know that the early start was totally worth it.

Elizabeth was a wonderful subject, very accommodating of our endless requests (driving her taxi, standing in front of her taxi, getting in and out of her taxi…) and happy to answer all of our questions. What surprised me, though, was that she was adamant that she’d never really been treated differently because she’s a woman. She seemed very modest about her experiences, never said she felt threatened or disrespected, and was almost trying to “sell” taxi driving as a safe and viable profession for women, which makes sense since she’s in the business herself. But it kind of flies in the face of what our original pitch was — we were expecting to find people who could speak about the flaws and dangers of professional driving. Eventually I think she let her guard down and let slip about a couple of instances where she was discounted or dismissed because of her gender, but they came right at the end of the interview and I was honestly worried that we’d have barely any usable interview footage.

Obviously with a university project we have set deadlines that can’t be changed, but I think on future projects it would be a good idea to pre-interview each of our subjects so we know what they’re going to say before we hit record. Firstly, it will help us select the right subjects, since there’s no reason to talk to someone who’s not going to talk about what you want them to, but also because once you know what someone is going to say you can then start planning and editing in your head. Now that we’ve spoken to Elizabeth we can re-order what she said to fit our structure, but if we’d pre-interviewed her beforehand we could have gone into the interview already armed with that information, which might have helped hone and refine our questions so that we didn’t waste any time on questions we wouldn’t use.

